[Activity]
Could you start at the top of the entries further down and give back each line, ending with the one that has "0.944)"?

[Data]
┌──
Theoretical XRD peak list of Co3P2O14 for CuKα, from DFT lattice parameters and positions (PBE+U).
Peak positions follow from Bragg's law for the DFT cell and can differ from measured ones.

Most intense lines, 2θ = 15–90°, by intensity:
- 25.7 deg, intensity 100
- 28.9 deg, intensity 66
- 32.2 deg, intensity 58
- 20.3 deg, intensity 38
- 16.0 deg, intensity 26
- 50.8 deg, intensity 25
- 28.4 deg, intensity 22
- 41.3 deg, intensity 20
- 61.5 deg, intensity 20
- 53.0 deg, intensity 18

Unit cell a=7.666 b=7.666 c=7.666 alpha=132.40 beta=132.40 gamma=69.59
Sites, in units of the cell vectors:
1 Co 0.000 0.000 0.000
2 Co 0.289 0.289 0.000
3 Co 0.711 0.711 0.000
4 P 0.250 0.750 0.500
5 P 0.750 0.250 0.500
6 O 0.023 0.326 0.698
7 O 0.155 0.155 0.000
8 O 0.201 0.202 0.403
9 O 0.202 0.799 0.001
10 O 0.325 0.023 0.697
11 O 0.326 0.628 0.303
12 O 0.372 0.675 0.698
13 O 0.628 0.325 0.302
14 O 0.674 0.372 0.697
15 O 0.675 0.977 0.303
16 O 0.798 0.201 0.999
17 O 0.799 0.798 0.597
18 O 0.845 0.845 0.000
19 O 0.977 0.674 0.302

=====

Diffraction record for Ca4Al5CrSi6H2O26. The PXRD pattern is computed, not measured: it uses a structure optimized by DFT (PBE+U) and copper Kα.
Neutral-atom scattering factors, no anomalous dispersion.

Cell and atoms:
a = 5.682 Å, b = 8.948 Å, c = 10.259 Å
α = 115.24°, β = 90.01°, γ = 90.08°
Space group P-1 (No. 2)
One atom of each set of equivalent atoms:
Ca (0.250, 0.109, 0.423)
Ca (0.250, 0.260, 0.155)
Al (0.000, 0.500, 0.500)
Al (0.251, 0.209, 0.774)
Al (0.500, 0.500, 0.000)
Al (0.500, 0.500, 0.500)
Cr (0.000, 0.500, 0.000)
Si (0.250, 0.820, 0.726)
Si (0.251, 0.685, 0.317)
Si (0.251, 0.841, 0.049)
H (0.251, 0.442, 0.675)
O (0.001, 0.256, 0.952)
O (0.013, 0.800, 0.349)
O (0.014, 0.709, 0.657)
O (0.250, 0.419, 0.572)
O (0.250, 0.565, 0.405)
O (0.250, 0.865, 0.899)
O (0.250, 0.987, 0.702)
O (0.252, 0.019, 0.180)
O (0.258, 0.539, 0.146)
O (0.262, 0.439, 0.862)
O (0.486, 0.709, 0.657)
O (0.486, 0.803, 0.352)
O (0.495, 0.736, 0.045)

Main lines, sorted by position (10° ≤ 2θ ≤ 80°):
17.5 deg, intensity 35, hkl 0 1 -2; 30.5 deg, intensity 100, hkl 1 -1 3; 31.5 deg, intensity 32, hkl 2 0 0; 33.4 deg, intensity 30, hkl 2 1 0; 34.2 deg, intensity 38, hkl 1 -3 1; 37.1 deg, intensity 55, hkl 1 3 -3; 42.3 deg, intensity 29, hkl -2 2 1; 65.7 deg, intensity 33, hkl 4 0 0

Diffraction record for Li2Fe3CoO8. The PXRD pattern is computed, not measured: it uses a structure optimized by DFT (PBE+U) and copper Kα.
Neutral-atom scattering factors, no anomalous dispersion.

Cell and atoms:
a = 10.420 Å, b = 5.889 Å, c = 5.103 Å
α = 90.00°, β = 108.38°, γ = 90.00°
Space group C2/m (No. 12)
One atom of each set of equivalent atoms:
Li (0.250, 0.250, 0.000)
Fe (0.000, 0.000, 0.000)
Fe (0.000, 0.254, 0.500)
Co (0.000, 0.500, 0.000)
O (0.103, 0.262, 0.218)
O (0.106, 0.500, 0.756)
O (0.107, 0.000, 0.751)

Main lines, sorted by position (10° ≤ 2θ ≤ 80°):
17.9 deg, intensity 100, hkl 2 0 0; 35.7 deg, intensity 35, hkl 2 0 -2; 42.9 deg, intensity 38, hkl 2 2 1; 43.3 deg, intensity 18, hkl 4 0 -2; 47.1 deg, intensity 7, hkl 4 2 -1; 56.3 deg, intensity 10, hkl 4 2 1; 62.1 deg, intensity 10, hkl 6 2 -1; 63.1 deg, intensity 15, hkl 0 4 0

Diffraction record for MgFe4P4O16. The PXRD pattern is computed, not measured: it uses a structure optimized by DFT (PBE+U) and copper Kα.
Neutral-atom scattering factors, no anomalous dispersion.

Cell and atoms:
a = 5.279 Å, b = 8.498 Å, c = 8.914 Å
α = 84.50°, β = 84.72°, γ = 72.60°
Space group P1 (No. 1)
One atom of each set of equivalent atoms:
Mg (0.000, 0.000, 0.000)
Fe (0.143, 0.498, 0.274)
Fe (0.503, 0.599, 0.756)
Fe (0.716, 0.090, 0.729)
Fe (0.954, 0.101, 0.328)
P (0.261, 0.004, 0.645)
P (0.477, 0.143, 0.110)
P (0.688, 0.495, 0.435)
P (0.951, 0.656, 0.932)
O (0.037, 0.634, 0.095)
O (0.040, 0.016, 0.537)
O (0.103, 0.080, 0.791)
O (0.183, 0.557, 0.826)
O (0.249, 0.057, 0.131)
O (0.379, 0.307, 0.184)
O (0.412, 0.551, 0.372)
O (0.421, 0.821, 0.680)
O (0.454, 0.101, 0.582)
O (0.584, 0.163, 0.944)
└──

[Completed]
Theoretical XRD peak list of Co3P2O14 for CuKα, from DFT lattice parameters and positions (PBE+U).
Peak positions follow from Bragg's law for the DFT cell and can differ from measured ones.

Most intense lines, 2θ = 15–90°, by intensity:
- 25.7 deg, intensity 100
- 28.9 deg, intensity 66
- 32.2 deg, intensity 58
- 20.3 deg, intensity 38
- 16.0 deg, intensity 26
- 50.8 deg, intensity 25
- 28.4 deg, intensity 22
- 41.3 deg, intensity 20
- 61.5 deg, intensity 20
- 53.0 deg, intensity 18

Unit cell a=7.666 b=7.666 c=7.666 alpha=132.40 beta=132.40 gamma=69.59
Sites, in units of the cell vectors:
1 Co 0.000 0.000 0.000
2 Co 0.289 0.289 0.000
3 Co 0.711 0.711 0.000
4 P 0.250 0.750 0.500
5 P 0.750 0.250 0.500
6 O 0.023 0.326 0.698
7 O 0.155 0.155 0.000
8 O 0.201 0.202 0.403
9 O 0.202 0.799 0.001
10 O 0.325 0.023 0.697
11 O 0.326 0.628 0.303
12 O 0.372 0.675 0.698
13 O 0.628 0.325 0.302
14 O 0.674 0.372 0.697
15 O 0.675 0.977 0.303
16 O 0.798 0.201 0.999
17 O 0.799 0.798 0.597
18 O 0.845 0.845 0.000
19 O 0.977 0.674 0.302

=====

Diffraction record for Ca4Al5CrSi6H2O26. The PXRD pattern is computed, not measured: it uses a structure optimized by DFT (PBE+U) and copper Kα.
Neutral-atom scattering factors, no anomalous dispersion.

Cell and atoms:
a = 5.682 Å, b = 8.948 Å, c = 10.259 Å
α = 115.24°, β = 90.01°, γ = 90.08°
Space group P-1 (No. 2)
One atom of each set of equivalent atoms:
Ca (0.250, 0.109, 0.423)
Ca (0.250, 0.260, 0.155)
Al (0.000, 0.500, 0.500)
Al (0.251, 0.209, 0.774)
Al (0.500, 0.500, 0.000)
Al (0.500, 0.500, 0.500)
Cr (0.000, 0.500, 0.000)
Si (0.250, 0.820, 0.726)
Si (0.251, 0.685, 0.317)
Si (0.251, 0.841, 0.049)
H (0.251, 0.442, 0.675)
O (0.001, 0.256, 0.952)
O (0.013, 0.800, 0.349)
O (0.014, 0.709, 0.657)
O (0.250, 0.419, 0.572)
O (0.250, 0.565, 0.405)
O (0.250, 0.865, 0.899)
O (0.250, 0.987, 0.702)
O (0.252, 0.019, 0.180)
O (0.258, 0.539, 0.146)
O (0.262, 0.439, 0.862)
O (0.486, 0.709, 0.657)
O (0.486, 0.803, 0.352)
O (0.495, 0.736, 0.045)

Main lines, sorted by position (10° ≤ 2θ ≤ 80°):
17.5 deg, intensity 35, hkl 0 1 -2; 30.5 deg, intensity 100, hkl 1 -1 3; 31.5 deg, intensity 32, hkl 2 0 0; 33.4 deg, intensity 30, hkl 2 1 0; 34.2 deg, intensity 38, hkl 1 -3 1; 37.1 deg, intensity 55, hkl 1 3 -3; 42.3 deg, intensity 29, hkl -2 2 1; 65.7 deg, intensity 33, hkl 4 0 0

Diffraction record for Li2Fe3CoO8. The PXRD pattern is computed, not measured: it uses a structure optimized by DFT (PBE+U) and copper Kα.
Neutral-atom scattering factors, no anomalous dispersion.

Cell and atoms:
a = 10.420 Å, b = 5.889 Å, c = 5.103 Å
α = 90.00°, β = 108.38°, γ = 90.00°
Space group C2/m (No. 12)
One atom of each set of equivalent atoms:
Li (0.250, 0.250, 0.000)
Fe (0.000, 0.000, 0.000)
Fe (0.000, 0.254, 0.500)
Co (0.000, 0.500, 0.000)
O (0.103, 0.262, 0.218)
O (0.106, 0.500, 0.756)
O (0.107, 0.000, 0.751)

Main lines, sorted by position (10° ≤ 2θ ≤ 80°):
17.9 deg, intensity 100, hkl 2 0 0; 35.7 deg, intensity 35, hkl 2 0 -2; 42.9 deg, intensity 38, hkl 2 2 1; 43.3 deg, intensity 18, hkl 4 0 -2; 47.1 deg, intensity 7, hkl 4 2 -1; 56.3 deg, intensity 10, hkl 4 2 1; 62.1 deg, intensity 10, hkl 6 2 -1; 63.1 deg, intensity 15, hkl 0 4 0

Diffraction record for MgFe4P4O16. The PXRD pattern is computed, not measured: it uses a structure optimized by DFT (PBE+U) and copper Kα.
Neutral-atom scattering factors, no anomalous dispersion.

Cell and atoms:
a = 5.279 Å, b = 8.498 Å, c = 8.914 Å
α = 84.50°, β = 84.72°, γ = 72.60°
Space group P1 (No. 1)
One atom of each set of equivalent atoms:
Mg (0.000, 0.000, 0.000)
Fe (0.143, 0.498, 0.274)
Fe (0.503, 0.599, 0.756)
Fe (0.716, 0.090, 0.729)
Fe (0.954, 0.101, 0.328)
P (0.261, 0.004, 0.645)
P (0.477, 0.143, 0.110)
P (0.688, 0.495, 0.435)
P (0.951, 0.656, 0.932)
O (0.037, 0.634, 0.095)
O (0.040, 0.016, 0.537)
O (0.103, 0.080, 0.791)
O (0.183, 0.557, 0.826)
O (0.249, 0.057, 0.131)
O (0.379, 0.307, 0.184)
O (0.412, 0.551, 0.372)
O (0.421, 0.821, 0.680)
O (0.454, 0.101, 0.582)
O (0.584, 0.163, 0.944)